What Jesus means to me

Andrew Bergh
Live Inspired
Published in
3 min readSep 8, 2015

........
The following is a PBE-GGA calculation of LuPaNi2 after structural relaxation, from the Alexandria database.

- volume (Å³/cell) = 297.9
- electronic total energy (eV/cell) = -106.92

a b c (Å): 6.679 6.679 6.679
angles (deg): 90.00 90.00 90.00
Space group Fm-3m (No. 225)
Asymmetric unit:
Lu 0.000 0.000 0.000 (multiplicity 4)
Pa 0.000 0.000 0.500 (multiplicity 4)
Ni 0.250 0.250 0.250 (multiplicity 8)


The following is a PBE calculation of LiCaEuCo after structural relaxation, from Alexandria.

a b c (Å): 7.201 7.201 7.201
angles (deg): 90.00 90.00 90.00
Space group F-43m (No. 216)
One atom of each set of equivalent atoms:
Li1 0.000 0.000 0.000 x4
Ca1 0.250 0.250 0.250 x4
Eu1 0.250 0.250 0.750 x4
Co1 0.000 0.000 0.500 x4

Properties
* total moment: 1.713 μB per atom
* E_tot: -0.1877 Ha/atom

The following is a PBE calculation of Rb2B2AsS6 after structural relaxation, from Alexandria.

a b c (Å): 13.881 6.337 7.773
angles (deg): 90.00 115.24 90.00
Space group C2/m (No. 12)
One atom of each set of equivalent atoms:
Rb1 0.184 0.000 0.208 x4
B1 0.012 0.500 0.300 x4
As1 0.000 0.000 0.500 x2
S1 0.071 0.259 0.749 x8
S2 0.144 0.500 0.331 x4

Properties
* total moment: 0.000 μB per atom
* raw formation energy: -455 meV per atom
* E_tot: -0.1661 Ha/atom

The following is a PBE calculation of Cd12Sb3P5 after structural relaxation, from Alexandria.

a b c (Å): 16.197 16.197 16.197
angles (deg): 90.00 90.00 90.00
Space group Ia-3d (No. 230)
One atom of each set of equivalent atoms:
Cd1 0.026 0.066 0.650 x96
Sb1 0.000 0.250 0.125 x24
P1 0.000 0.000 0.000 x16
P2 0.000 0.250 0.375 x24

Properties
* total moment: 0.000 μB per atom
* raw formation energy: 11 meV per atom
* E_tot: -0.0922 Ha/atom

The following is a PBE calculation of CeHg4Au after structural relaxation, from Alexandria.

a b c (Å): 5.060 16.687 7.168
angles (deg): 90.00 90.00 90.00
Space group Cmc2_1 (No. 36)
One atom of each set of equivalent atoms:
Ce1 0.000 0.173 0.000 x4
Hg1 0.000 0.014 0.316 x4
Hg2 0.000 0.195 0.468 x4
Hg3 0.000 0.357 0.185 x4
Hg4 0.000 0.468 0.539 x4
Au1 0.000 0.323 0.759 x4

Properties
* total moment: 0.184 μB per atom
* E_tot: -0.0729 Ha/atom

The following is a PBE calculation of PAuN2 after structural relaxation, from Alexandria.

a b c (Å): 4.879 4.879 7.689
angles (deg): 90.00 90.00 90.00
Space group I-42d (No. 122)
One atom of each set of equivalent atoms:
P1 0.000 0.000 0.000 x4
Au1 0.000 0.000 0.500 x4
N1 0.118 0.250 0.125 x8

Properties
* total moment: 0.000 μB per atom
* raw formation energy: 251 meV per atom
* E_tot: -0.2236 Ha/atom

The following is a PBE calculation of ZnBN after structural relaxation, from Alexandria.

a b c (Å): 2.619 5.741 13.663
angles (deg): 90.00 90.00 90.00
Space group Fmm2 (No. 42)
One atom of each set of equivalent atoms:
Zn1 0.000 0.000 0.000 x4
B1 0.000 0.000 0.274 x4
N1 0.000 0.000 0.771 x4

Properties
* total moment: 0.000 μB per atom
* raw formation energy: -92 meV per atom
* E_tot: -0.2028 Ha/atom
........

Hebrews 1:1–3a

In the past God spoke to our ancestors through the prophets at many times and in various ways, 2 but in these last days he has spoken to us by his Son, whom he appointed heir of all things, and through whom also he made the universe. 3 The Son is the radiance of God’s glory and the exact representation of his being, sustaining all things by his powerful word

These are the beginning lines of the book of Hebrews and quite possibly the most beautiful verses written about Jesus. They give us not only the right theology, but a refreshing reminder of who Jesus our saviour is.

God has always been trying to catch our attention! He’s spoken through prophets and people and in many other ways through history… But now, he’s sent His best: His Son, Jesus. He is the one who the Father spoke directly through: He’s God’s final word. There can no longer be any confusion: in Jesus we get the words, the tone and the body language of the Father himself — all in one amazing person.

More than this, these verses remind me of four other amazing things about my hero:

  1. He is heir of all things
  2. He made the universe
  3. He is he exact representation of God’s being
  4. He sustains all things when he speaks

heir of all things
Jesus is an heir but more significantly he is the heir. This means he inherits (or owns) everything the Father has and is. This means that whatever need, He already has and knows. And I get to trust that he will amply supply everything I need for life at the perfect time.

he made the universe
This verse reveals that Jesus is creator and that He in fact is the voice of God in Genesis 1:3

And God said, “Let there be light…”

When Jesus speaks nothing becomes something. This means when he speaks to me what’s lacking in my life will be amply supplied.

• Records of crystals, as found in the file:
+++
# PBE-GGA BaTl2Mo, optimized geometry
data_BaTl2Mo
_chemical_formula_sum 'Ba1 Tl2 Mo1'
_symmetry_space_group_name_H-M 'P 1'
_symmetry_Int_Tables_number 1
_cell_length_a 3.653
_cell_length_b 3.653
_cell_length_c 8.203
_cell_angle_alpha 90.00
_cell_angle_beta 90.00
_cell_angle_gamma 90.00
loop_
_symmetry_equiv_pos_as_xyz
'x,y,z'
loop_
_atom_site_label
_atom_site_type_symbol
_atom_site_fract_x
_atom_site_fract_y
_atom_site_fract_z
Ba1 Ba 0.000 0.000 0.000
Tl1 Tl 0.500 0.500 0.306
Tl2 Tl 0.500 0.500 0.694
Mo1 Mo 0.000 0.000 0.500
# * DFT formation energy: 423 meV/atom
# * DOS(E_F): 0.68 states/eV/atom
# * total magnetic moment: 2.14 μB per formula unit
# * distance to the lowest polymorph of the same formula: 0 meV/atom

# PBE-GGA BaTl2Mo, optimized geometry
data_BaTl2Mo
_chemical_formula_sum 'Ba1 Tl2 Mo1'
_symmetry_space_group_name_H-M 'P 1'
_symmetry_Int_Tables_number 1
_cell_length_a 10.817
_cell_length_b 10.817
_cell_length_c 10.817
_cell_angle_alpha 18.70
_cell_angle_beta 18.70
_cell_angle_gamma 18.70
loop_
_symmetry_equiv_pos_as_xyz
'x,y,z'
loop_
_atom_site_label
_atom_site_type_symbol
_atom_site_fract_x
_atom_site_fract_y
_atom_site_fract_z
Ba1 Ba 0.000 0.000 0.000
Tl1 Tl 0.231 0.231 0.231
Tl2 Tl 0.480 0.480 0.480
Mo1 Mo 0.746 0.746 0.746
# * DFT formation energy: 762 meV/atom
# * DOS(E_F): 0.88 states/eV/atom
# * total magnetic moment: 1.33 μB per formula unit
# * distance to the lowest polymorph of the same formula: 340 meV/atom

# PBE-GGA BaTl2Mo, optimized geometry
data_BaTl2Mo
_chemical_formula_sum 'Ba1 Tl2 Mo1'
_symmetry_space_group_name_H-M 'P 1'
_symmetry_Int_Tables_number 1
_cell_length_a 3.773
_cell_length_b 4.347
_cell_length_c 7.395
_cell_angle_alpha 90.00
_cell_angle_beta 90.00
_cell_angle_gamma 90.00
loop_
_symmetry_equiv_pos_as_xyz
'x,y,z'
loop_
_atom_site_label
_atom_site_type_symbol
_atom_site_fract_x
_atom_site_fract_y
_atom_site_fract_z
Ba1 Ba 0.000 0.000 0.000
Tl1 Tl 0.000 0.500 0.377
Tl2 Tl 0.500 0.500 0.718
Mo1 Mo 0.500 0.000 0.451
# * DFT formation energy: 502 meV/atom
# * DOS(E_F): 0.76 states/eV/atom
# * total magnetic moment: 1.88 μB per formula unit
# * distance to the lowest polymorph of the same formula: 79 meV/atom

# PBE-GGA BaTlMo2, optimized geometry
data_BaTlMo2
_chemical_formula_sum 'Ba1 Tl1 Mo2'
_symmetry_space_group_name_H-M 'P 1'
_symmetry_Int_Tables_number 1
_cell_length_a 5.504
_cell_length_b 5.504
_cell_length_c 6.273
_cell_angle_alpha 101.17
_cell_angle_beta 101.17
_cell_angle_gamma 37.01
loop_
_symmetry_equiv_pos_as_xyz
'x,y,z'
loop_
_atom_site_label
_atom_site_type_symbol
_atom_site_fract_x
_atom_site_fract_y
_atom_site_fract_z
Ba1 Ba 0.000 0.000 0.000
Tl1 Tl 0.500 0.500 0.500
Mo1 Mo 0.232 0.232 0.622
Mo2 Mo 0.768 0.768 0.378
# * DFT formation energy: 727 meV/atom
# * DOS(E_F): 1.02 states/eV/atom
# * total magnetic moment: 0.00 μB per formula unit
# * distance to the lowest polymorph of the same formula: 276 meV/atom

# PBE-GGA BaTl2Mo, optimized geometry
data_BaTl2Mo
+++
• So much for the records of crystals:

The Son is the radiance of God’s glory and the exact representation of his being
For me, this is the most amazing of the four. Jesus is the exact representation of God’s being. Exact representation comes from the Greek term xaraktḗr from which we get the English word character. A character was originally a tool used for engraving and then a die or stamp. Jesus not only represents God (as a stamp does) but reflects his personality perfectly. Jesus is God’s stamp on reality. This means that when I’ve been with, heard the words of or seen Jesus — I’ve experienced the stamp of God on my life.

Jesus is also radiant. To radiate means to shine through anything. Jesus is the one who shines God’s glory (His pure goodness) into and through everything that exists. For me, this means hope.

sustaining all things by his powerful word
Jesus words are not only extremely powerful but they sustain life. In fact, they sustain everything. This means they sustain me!
5481 xaraktḗr — properly, an engraving; (figuratively) an exact impression (likeness) which also reflects inner character.

[5481 /xaraktḗr was originally a tool (used for engraving) and then came to mean “a die” (“mould”). Finally it stood for a stamp or impress used on a coin or seal (see H, 368). In each case, the stamp conveyed the reality behind the image.]

541 apaúgasma (from 575 /apó, “from” which intensifies 826 /augázō, “shine,” derived from augē/”dawn”) — properly, someone who literally “shines,” (is radiant). 541 (apaúgasma) is only used in Heb 1:3 where it refers to Christ’s eternal radiance — supremely reflecting the effulgent glory of the Godhead. His eternal light breaks through all the darkness that keeps someone in spiritual ignorance (bondage), i.e. every resistance exerted by sin.

